Work order =
Could you quote everything further below without altering anything?

Entries =
<<<
[1]
First-principles (PBE) data for an optimized crystal structure of Np2BiF, as listed in Alexandria via LeMat-Bulk.

Computed properties:
Space group   R-3m (166)
Energy relative to the elements, uncorrected   -673 meV/atom
Fermi-level density of states   3.24 states/eV per atom

Unit cell a=5.678 b=5.678 c=11.368 alpha=90.00 beta=90.00 gamma=120.00
Fractional positions:
1 Np 0.000 0.000 0.199
2 Np 0.000 0.000 0.801
3 Np 0.333 0.667 0.468
4 Np 0.333 0.667 0.865
5 Np 0.667 0.333 0.135
6 Np 0.667 0.333 0.532
7 Bi 0.000 0.000 0.500
8 Bi 0.333 0.667 0.167
9 Bi 0.667 0.333 0.833
10 F 0.000 0.000 0.000
11 F 0.333 0.667 0.667
12 F 0.667 0.333 0.333

[2]
First-principles (PBE) data for an optimized crystal structure of NpBi3O6F2, as listed in Alexandria via LeMat-Bulk.

Computed properties:
Space group   C2/m (12)
Energy relative to the elements, uncorrected   -1848 meV/atom
Fermi-level density of states   0.26 states/eV per atom

Unit cell a=6.996 b=6.996 c=5.174 alpha=95.32 beta=95.32 gamma=54.79
Fractional positions:
1 Np 0.000 0.000 0.000
2 Bi 0.000 0.500 0.000
3 Bi 0.500 0.000 0.000
4 Bi 0.500 0.500 0.500
5 O 0.143 0.143 0.225
6 O 0.165 0.690 0.211
7 O 0.310 0.835 0.789
8 O 0.690 0.165 0.211
9 O 0.835 0.310 0.789
10 O 0.857 0.857 0.775
11 F 0.337 0.337 0.685
12 F 0.663 0.663 0.315

[3]
First-principles (PBE) data for an optimized crystal structure of Bi2OF4, as listed in Alexandria via LeMat-Bulk.

Computed properties:
Space group   C2/c (15)
Energy relative to the elements, uncorrected   -2197 meV/atom
Polymorph energy (0 for the lowest one)   0 meV/atom
Fermi-level density of states   0.00 states/eV per atom

Unit cell a=7.111 b=7.111 c=5.814 alpha=101.50 beta=101.50 gamma=47.17
Fractional positions:
1 Bi 0.109 0.679 0.916
2 Bi 0.321 0.891 0.584
3 Bi 0.679 0.109 0.416
4 Bi 0.891 0.321 0.084
5 O 0.038 0.962 0.250
6 O 0.962 0.038 0.750
7 F 0.156 0.273 0.831
8 F 0.273 0.156 0.331
9 F 0.301 0.543 0.556
10 F 0.457 0.699 0.944
11 F 0.543 0.301 0.056
12 F 0.699 0.457 0.444
13 F 0.727 0.844 0.669
14 F 0.844 0.727 0.169

[4]
First-principles (PBE) data for an optimized crystal structure of BiO2F2, as listed in Alexandria via LeMat-Bulk.

Computed properties:
Space group   Cmc2_1 (36)
Energy relative to the elements, uncorrected   -1262 meV/atom
Polymorph energy (0 for the lowest one)   0 meV/atom
Fermi-level density of states   0.14 states/eV per atom

Unit cell a=5.413 b=5.413 c=10.334 alpha=90.00 beta=90.00 gamma=142.22
Fractional positions:
1 Bi 0.074 0.926 0.500
2 Bi 0.926 0.074 0.000
3 O 0.293 0.707 0.559
4 O 0.375 0.625 0.459
5 O 0.625 0.375 0.959
6 O 0.707 0.293 0.059
7 F 0.359 0.641 0.874
8 F 0.416 0.584 0.144
9 F 0.584 0.416 0.644
10 F 0.641 0.359 0.374

[5]
First-principles (PBE) data for an optimized crystal structure of BiOF, as listed in Alexandria via LeMat-Bulk.

Computed properties:
Space group   P2_1/c (14)
Energy relative to the elements, uncorrected   -1838 meV/atom
Fermi-level density of states   0.00 states/eV per atom

Unit cell a=5.845 b=5.864 c=6.085 alpha=90.00 beta=95.99 gamma=90.00
Fractional positions:
1 Bi 0.241 0.043 0.193
2 Bi 0.241 0.457 0.693
3 Bi 0.759 0.543 0.307
4 Bi 0.759 0.957 0.807
5 O 0.072 0.178 0.877
6 O 0.072 0.322 0.377
7 O 0.928 0.678 0.623
8 O 0.928 0.822 0.123
9 F 0.442 0.741 0.474
10 F 0.442 0.759 0.974
11 F 0.558 0.241 0.026
12 F 0.558 0.259 0.526

[6]
First-principles (PBE) data for an optimized crystal structure of BiOF, as listed in Alexandria via LeMat-Bulk.

Computed properties:
Space group   Fddd (70)
Energy relative to the elements, uncorrected   -1756 meV/atom
Fermi-level density of states   0.00 states/eV per atom

Unit cell a=7.258 b=6.874 c=6.034 alpha=68.07 beta=61.47 gamma=50.46
Fractional positions:
1 Bi 0.077 0.673 0.077
2 Bi 0.327 0.923 0.327
3 Bi 0.673 0.077 0.673
4 Bi 0.923 0.327 0.923
5 O 0.007 0.007 0.743
6 O 0.257 0.257 0.993
7 O 0.743 0.743 0.007
8 O 0.993 0.993 0.257
9 F 0.000 0.500 0.500
10 F 0.500 0.000 0.500
11 F 0.500 0.500 0.000
12 F 0.500 0.500 0.500

[7]
>>>

Solution =
[1]
First-principles (PBE) data for an optimized crystal structure of Np2BiF, as listed in Alexandria via LeMat-Bulk.

Computed properties:
Space group   R-3m (166)
Energy relative to the elements, uncorrected   -673 meV/atom
Fermi-level density of states   3.24 states/eV per atom

Unit cell a=5.678 b=5.678 c=11.368 alpha=90.00 beta=90.00 gamma=120.00
Fractional positions:
1 Np 0.000 0.000 0.199
2 Np 0.000 0.000 0.801
3 Np 0.333 0.667 0.468
4 Np 0.333 0.667 0.865
5 Np 0.667 0.333 0.135
6 Np 0.667 0.333 0.532
7 Bi 0.000 0.000 0.500
8 Bi 0.333 0.667 0.167
9 Bi 0.667 0.333 0.833
10 F 0.000 0.000 0.000
11 F 0.333 0.667 0.667
12 F 0.667 0.333 0.333

[2]
First-principles (PBE) data for an optimized crystal structure of NpBi3O6F2, as listed in Alexandria via LeMat-Bulk.

Computed properties:
Space group   C2/m (12)
Energy relative to the elements, uncorrected   -1848 meV/atom
Fermi-level density of states   0.26 states/eV per atom

Unit cell a=6.996 b=6.996 c=5.174 alpha=95.32 beta=95.32 gamma=54.79
Fractional positions:
1 Np 0.000 0.000 0.000
2 Bi 0.000 0.500 0.000
3 Bi 0.500 0.000 0.000
4 Bi 0.500 0.500 0.500
5 O 0.143 0.143 0.225
6 O 0.165 0.690 0.211
7 O 0.310 0.835 0.789
8 O 0.690 0.165 0.211
9 O 0.835 0.310 0.789
10 O 0.857 0.857 0.775
11 F 0.337 0.337 0.685
12 F 0.663 0.663 0.315

[3]
First-principles (PBE) data for an optimized crystal structure of Bi2OF4, as listed in Alexandria via LeMat-Bulk.

Computed properties:
Space group   C2/c (15)
Energy relative to the elements, uncorrected   -2197 meV/atom
Polymorph energy (0 for the lowest one)   0 meV/atom
Fermi-level density of states   0.00 states/eV per atom

Unit cell a=7.111 b=7.111 c=5.814 alpha=101.50 beta=101.50 gamma=47.17
Fractional positions:
1 Bi 0.109 0.679 0.916
2 Bi 0.321 0.891 0.584
3 Bi 0.679 0.109 0.416
4 Bi 0.891 0.321 0.084
5 O 0.038 0.962 0.250
6 O 0.962 0.038 0.750
7 F 0.156 0.273 0.831
8 F 0.273 0.156 0.331
9 F 0.301 0.543 0.556
10 F 0.457 0.699 0.944
11 F 0.543 0.301 0.056
12 F 0.699 0.457 0.444
13 F 0.727 0.844 0.669
14 F 0.844 0.727 0.169

[4]
First-principles (PBE) data for an optimized crystal structure of BiO2F2, as listed in Alexandria via LeMat-Bulk.

Computed properties:
Space group   Cmc2_1 (36)
Energy relative to the elements, uncorrected   -1262 meV/atom
Polymorph energy (0 for the lowest one)   0 meV/atom
Fermi-level density of states   0.14 states/eV per atom

Unit cell a=5.413 b=5.413 c=10.334 alpha=90.00 beta=90.00 gamma=142.22
Fractional positions:
1 Bi 0.074 0.926 0.500
2 Bi 0.926 0.074 0.000
3 O 0.293 0.707 0.559
4 O 0.375 0.625 0.459
5 O 0.625 0.375 0.959
6 O 0.707 0.293 0.059
7 F 0.359 0.641 0.874
8 F 0.416 0.584 0.144
9 F 0.584 0.416 0.644
10 F 0.641 0.359 0.374

[5]
First-principles (PBE) data for an optimized crystal structure of BiOF, as listed in Alexandria via LeMat-Bulk.

Computed properties:
Space group   P2_1/c (14)
Energy relative to the elements, uncorrected   -1838 meV/atom
Fermi-level density of states   0.00 states/eV per atom

Unit cell a=5.845 b=5.864 c=6.085 alpha=90.00 beta=95.99 gamma=90.00
Fractional positions:
1 Bi 0.241 0.043 0.193
2 Bi 0.241 0.457 0.693
3 Bi 0.759 0.543 0.307
4 Bi 0.759 0.957 0.807
5 O 0.072 0.178 0.877
6 O 0.072 0.322 0.377
7 O 0.928 0.678 0.623
8 O 0.928 0.822 0.123
9 F 0.442 0.741 0.474
10 F 0.442 0.759 0.974
11 F 0.558 0.241 0.026
12 F 0.558 0.259 0.526

[6]
First-principles (PBE) data for an optimized crystal structure of BiOF, as listed in Alexandria via LeMat-Bulk.

Computed properties:
Space group   Fddd (70)
Energy relative to the elements, uncorrected   -1756 meV/atom
Fermi-level density of states   0.00 states/eV per atom

Unit cell a=7.258 b=6.874 c=6.034 alpha=68.07 beta=61.47 gamma=50.46
Fractional positions:
1 Bi 0.077 0.673 0.077
2 Bi 0.327 0.923 0.327
3 Bi 0.673 0.077 0.673
4 Bi 0.923 0.327 0.923
5 O 0.007 0.007 0.743
6 O 0.257 0.257 0.993
7 O 0.743 0.743 0.007
8 O 0.993 0.993 0.257
9 F 0.000 0.500 0.500
10 F 0.500 0.000 0.500
11 F 0.500 0.500 0.000
12 F 0.500 0.500 0.500

[7]